**Contents**
'''
Entry 1:
Theoretical PXRD pattern
Compound: PmPrHo2Sb4
Radiation: Cu Kα, 1.54184 Å
Structure: DFT lattice parameters and positions (PBE)

Peak list (8 most intense, 2θ = 5–70°, by angle)
Position (°2θ), I/Imax, hkl
24.51, 3, 2 0 0
28.38, 100, 1 1 1
40.56, 76, 0 2 0
47.97, 2, 3 1 1
50.24, 27, 0 0 4
58.71, 13, 2 2 2
66.46, 29, 1 3 1
66.52, 6, 3 1 3

Cell and atoms:
a b c (Å): 7.6961 4.4520 7.7060
angles (deg): 90.00 109.50 90.00
Space group P2/m (No. 10)
Symmetry-distinct sites (fractional):
Pm 0.0000 0.0000 0.0000 x1
Pr 0.0000 0.5000 0.5000 x1
Ho 0.5000 0.0000 0.5000 x1
Ho 0.5000 0.5000 0.0000 x1
Sb 0.2596 0.5000 0.2515 x2
Sb 0.2609 0.0000 0.7554 x2

---

Entry 2:
Theoretical PXRD pattern
Compound: Pm4Pr2HoSc
Radiation: Cu Kα, 1.54184 Å
Structure: DFT lattice parameters and positions (PBE)

Peak list (8 most intense, 2θ = 5–70°, by angle)
Position (°2θ), I/Imax, hkl
30.39, 100, 1 1 2
35.11, 17, 0 2 0
35.29, 33, 2 0 0
50.64, 24, 2 2 0
50.77, 12, 2 0 4
60.09, 14, 1 3 2
60.31, 21, 3 1 2
63.23, 12, 2 2 4

Cell and atoms:
a b c (Å): 5.0896 5.1118 10.1645
angles (deg): 90.00 90.07 90.00
Space group P2/m (No. 10)
Symmetry-distinct sites (fractional):
Pm 0.9996 0.0000 0.2452 x2
Pm 0.4999 0.5000 0.2463 x2
Pr 0.0000 0.5000 0.0000 x1
Pr 0.5000 0.0000 0.5000 x1
Ho 0.0000 0.5000 0.5000 x1
Sc 0.5000 0.0000 0.0000 x1

---

Entry 3:
Theoretical PXRD pattern
Compound: PmPrSm2Ho4
Radiation: Cu Kα, 1.54184 Å
Structure: DFT lattice parameters and positions (PBE)

Peak list (8 most intense, 2θ = 5–70°, by angle)
Position (°2θ), I/Imax, hkl
26.83, 45, 0 0 4
30.16, 100, 2 2 0
40.80, 88, 2 2 4
53.54, 13, 2 6 0
60.91, 27, 4 0 4
62.76, 8, 4 4 0
64.28, 23, 2 2 8
69.51, 12, 4 4 4

Cell and atoms:
a b c (Å): 6.8344 11.8652 13.2918
angles (deg): 90.00 90.00 90.00
Space group Imma (No. 74)
Symmetry-distinct sites (fractional):
Pm 0.2500 0.2500 0.2500 x4
Pr 0.0000 0.0000 0.0000 x4
Sm 0.0000 0.0000 0.5000 x4
Sm 0.2500 0.2500 0.7500 x4
Ho 0.0000 0.9996 0.2506 x8
Ho 0.2489 0.2500 0.5004 x8

---

Entry 4:
Theoretical PXRD pattern
Compound: Pm2PrSmHo
Radiation: Cu Kα, 1.54184 Å
Structure: DFT lattice parameters and positions (PBE)

Peak list (8 most intense, 2θ = 5–70°, by angle)
Position (°2θ), I/Imax, hkl
28.23, 88, 2 1 -1
28.43, 64, 0 0 2
28.99, 94, 1 2 0
29.57, 100, 2 1 1
32.07, 56, 1 2 -1
32.71, 78, 1 2 1
33.93, 48, 1 1 2
44.12, 42, 3 1 -2

Cell and atoms:
a b c (Å): 8.4196 6.6215 6.2908
angles (deg): 90.00 93.62 90.00
Space group P2/c (No. 13)
Symmetry-distinct sites (fractional):
Pm 0.1896 0.1912 0.2707 x4
Pr 0.5000 0.5000 0.0000 x2
Sm 0.5000 0.0671 0.7500 x2
Ho 0.0000 0.3363 0.7500 x2


[1]
Starting from a crystal structure in Alexandria, relaxed with GGA-PBE, the XRD peak list of SmTePd6 was computed for a wavelength of 1.5418 Å.
Peak positions follow from Bragg's law for the DFT cell and can differ from measured ones.

Cell and atoms:
a b c (Å): 4.137 4.137 8.229
angles (deg): 90.00 90.00 90.00
Space group P4/mmm (No. 123)
Asymmetric unit:
Sm1 0.000 0.000 0.000 x1
Te1 0.000 0.000 0.500 x1
Pd1 0.000 0.500 0.257 x4
Pd2 0.500 0.500 0.000 x1
Pd3 0.500 0.500 0.500 x1

Main lines, by angle (15° ≤ 2θ ≤ 90°):
(1 0 0), 21.48 deg, 4.137 Å, intensity 1
(1 1 0), 30.62 deg, 2.920 Å, intensity 1
(1 1 2), 37.73 deg, 2.384 Å, intensity 100
(2 0 0), 43.77 deg, 2.068 Å, intensity 33
(0 0 4), 44.02 deg, 2.057 Å, intensity 16
(2 2 0), 63.62 deg, 1.463 Å, intensity 11
(2 0 4), 63.81 deg, 1.459 Å, intensity 21
(3 1 2), 76.40 deg, 1.247 Å, intensity 25
(1 1 6), 76.75 deg, 1.242 Å, intensity 12
(2 2 4), 80.59 deg, 1.192 Å, intensity 11



[2]
Starting from a crystal structure in Alexandria, relaxed with GGA-PBE, the XRD peak list of SmTe2Pd9 was computed for a wavelength of 1.5418 Å.
Peak positions follow from Bragg's law for the DFT cell and can differ from measured ones.

Cell and atoms:
a b c (Å): 4.149 4.149 12.162
angles (deg): 90.00 90.00 90.00
Space group P4/mmm (No. 123)
Asymmetric unit:
Sm1 0.000 0.000 0.000 x1
Te1 0.000 0.000 0.335 x2
Pd1 0.000 0.500 0.173 x4
'''
**Job**
Say how many lines of the listing further up hold the word "measured", as a bare number.
**Solution**
2